IC08 Grand Final - NZ vs PNG - score-by-score updates
- Friday, September 05 2008 @ 04:35 pm ACST
- Contributed by: Brett Northey
- Views: 8,453

This article is being updated each time there is a score in the 2008 Australian Football International Cup, Friday 5th September 2008, between New Zealand and Papua New Guinea.
New Zealand versus Papua New Guinea
1st Quarter - 5:07pm start (early), NZ to Punt Road end, no real breeze
4:53 - NZ Doran marks and goals from 30m in front - NZ 1.0 (6) PNG 0.0 (0)
6:56 - PNG Pinda marks and kicks from boundary, point - NZ 1.0 (6) PNG 0.1 (1)
7:50 - PNG Barry behind - NZ 1.0 (6) PNG 0.2 (2)
8:30 - NZ Congalton roves and goals - NZ 2.0 (12) PNG 0.2 (2)
10:20 - PNG Pirika - strong mark, checkside, point - NZ 2.0 (12) PNG 0.3 (3)
11:35 - PNG rushed - NZ 2.0 (12) PNG 0.4 (4)
15:10 - NZ Bradley marks, misses behind - NZ 2.1 (13) PNG 0.4 (4)
16:53 - NZ Monaghan free kick, goals - NZ 3.1 (19) PNG 0.4 (4)
2nd Quarter
1:29 - PNG Wartovo soccers half-volley, clears the pack, goal - NZ 3.1 (19) PNG 1.4 (10)
3:30 - PNG Pinder from 45m, 50 deg angle, point - NZ 3.1 (19) PNG 1.5 (11)
6:50 - NZ - Cunneen on the left, 40m, goal - NZ 4.1 (25) PNG 1.5 (11)
8:20 - NZ - Bradley free, 45m, point - NZ 4.2 (26) PNG 1.5 (11)
9:30 - PNG Pirika - mark, shot from 45m in front, goal - NZ 4.2 (26) PNG 2.5 (17)
15:00 - NZ Bradley - free - kick from 40m, goal - NZ 5.2 (32) PNG 2.5 (17)
16:30 - NZ Doran - free - pulls it from 50m, behind - NZ 5.3 (33) PNG 2.5 (17)
3rd Quarter
0:50 - PNG Susuve behind from mark - NZ 5.3 (33) PNG 2.6 (18)
3:00 - PNG Rava hooks, behind - NZ 5.3 (33) PNG 2.7 (19)
3:30 - PNG Pinda behind - NZ 5.3 (33) PNG 2.8 (20)
4:05 - PNG Barry behind - NZ 5.3 (33) PNG 2.9 (21)
6:20 - PNG Pinda strong mark, goal - NZ 5.3 (33) PNG 3.9 (27)
7:50 - NZ Doran bombs, behind - NZ 5.4 (34) PNG 3.9 (27)
8:55 - NZ Bowden marks, double grab, goals from 40m goal - NZ 6.4 (40) PNG 3.9 (27)
14:35 - PNG Pinda mark, point - NZ 6.4 (40) PNG 3.10 (28)
16:50 - PNG Pirika mark, goal - NZ 6.4 (40) PNG 4.10 (34)
Final Quarter
2:05 PNG Pirika snaps, touched off the boot, one point - NZ 6.4 (40) PNG 4.11 (35)
5:15 PNG Pirika marks, behind - NZ 6.4 (40) PNG 4.12 (36)
6:15 PNG Pirika marks in front, unstoppable, but kicks into man on the mark
7:00 PNG Barry, casual yet spectacular, snaps across the body, goal - NZ 6.4 (40) PNG 5.12 (42)
9:30 PNG Pirika snaps, goal - NZ 6.4 (40) PNG 6.12 (48)
11:30 NZ Bradley marks, goal - NZ 7.4 (46) PNG 6.12 (48)
5 minutes left (17 minute quarters, no time on)
90 secs - down PNG's end
Siren - PNG wins
Final score
### Someone pasted data records at this point
<<<
Cr2Ag2F GGA+U optimized geometry; total magnetization = 9.188 μB per formula unit; energy = -4.70 eV/atom; space group = P4/mbm (127); energy above the lowest structure with this stoichiometry = 0.00 eV per formula unit
1.0
6.0095 0.0000 0.0000
0.0000 6.0095 0.0000
0.0000 0.0000 4.9712
Cr F Ag
4 2 4
Direct
0.6739 0.1739 0.0000 Cr
0.8261 0.6739 0.0000 Cr
0.1739 0.3261 0.0000 Cr
0.3261 0.8261 0.0000 Cr
0.5000 0.5000 0.0000 F
0.0000 0.0000 0.0000 F
0.3398 0.1602 0.5000 Ag
0.8398 0.3398 0.5000 Ag
>>>
PNG 7.12 (54) - Pirika kicks banana goal after siren
NZ 7.4 (46)
Note there are some anomalies between the players we noted and the AFL's final results - we'll follow that up and make any necessary corrections (e.g. sometimes jumper numbers are belatedly changed if damaged).